Count the lines further down that contain the word "format" and give the number alone.

~~~
Entry i
Molecular formula: C6H17N2
Method: DFT, wB97M-V/def2-TZVPD

## Properties
net charge = +1
SMILES string = CC(C)N(C)CC[NH3+]
Kohn-Sham gap = 7.81 eV
HOMO energy = -11.7 eV

The geometry in XYZ format:
```
25
Properties=species:S:1:pos:R:3:mulliken_charge:R:1
C -1.00186 2.08303 0.45046 -1.201
C -1.10036 0.99231 -0.57022 0.178
C -2.07950 -0.00149 -0.04182 -1.312
N 0.22569 0.33360 -0.74702 0.200
C 0.99778 0.77162 -1.90911 -1.127
C 0.94028 -0.07271 0.36883 -0.862
C 1.36000 -1.54838 0.15751 -0.532
N 0.84807 -2.47571 1.29765 -0.381
H -0.01021 2.65984 0.65023 0.291
H -1.91964 2.72084 0.48215 0.383
H -1.07063 1.73138 1.50213 0.361
H -1.65552 1.45511 -1.53925 0.288
H -1.73167 -0.64162 0.76096 0.260
H -2.57554 -0.51024 -0.81083 0.408
H -3.05161 0.66494 0.28049 0.338
H 2.17468 0.84048 -1.62012 0.331
H 0.71065 0.16400 -2.81874 0.298
H 0.82720 1.89621 -2.05831 0.400
H 0.36675 -0.05977 1.28662 0.383
H 1.83323 0.64941 0.57928 0.476
H 1.21136 -1.93646 -0.89803 0.353
H 2.46565 -1.53183 0.30906 0.295
H 0.52366 -1.99624 2.22330 0.403
H 0.06582 -2.99227 1.02054 0.355
H 1.64572 -3.19602 1.64425 0.414
```

Entry ii
Molecular formula: C6H17N2
Method: DFT, wB97M-V/def2-TZVPD

## Properties
net charge = +1
Kohn-Sham gap = 9.20 eV
HOMO energy = -12.0 eV

The geometry in XYZ format:
```
25
Properties=species:S:1:pos:R:3:mulliken_charge:R:1
C 0.98934 -0.95788 1.02526 -1.488
C -0.29170 -1.33605 1.03611 0.211
N -1.21591 -1.04588 2.01647 -0.186
C -2.18384 -2.11043 2.33708 -0.916
H 1.42162 -0.48793 1.90244 0.292
H 1.61742 -1.19228 0.17981 0.444
H -0.70712 -1.90438 0.20726 0.434
H -0.76641 -0.67172 2.84300 0.258
H -2.91015 -1.71476 3.03572 0.316
H -2.69085 -2.38730 1.41862 0.327
H -1.69358 -2.98795 2.75081 0.335
C 2.45388 0.97652 -1.80719 -1.210
C 0.94819 0.85470 -1.94914 -0.465
N 0.25016 1.51577 -0.78765 -0.161
C -1.24095 1.44426 -0.85376 -0.816
H 2.75464 0.75867 -0.77928 0.352
H 2.94604 0.25532 -2.45792 0.348
H 2.80821 1.97305 -2.06904 0.392
H 0.55411 1.34926 -2.83527 0.483
H 0.60887 -0.17962 -1.95635 0.348
H 0.55883 2.48772 -0.75872 0.381
H 0.54912 1.06258 0.09044 0.283
H -1.56780 1.80479 -1.82864 0.361
H -1.65860 2.07626 -0.07630 0.358
H -1.53352 0.41726 -0.68375 0.318
```

Entry iii
Molecular formula: C6H17N2
Method: DFT, wB97M-V/def2-TZVPD

## Properties
net charge = +1
Kohn-Sham gap = 4.62 eV
HOMO energy = -13.1 eV

The geometry in XYZ format:
```
25
Properties=species:S:1:pos:R:3:mulliken_charge:R:1
N 0.09388 -0.21485 2.66536 -0.626
C -1.39674 -0.29581 2.18477 0.275
C -2.13481 0.98132 2.40264 -1.119
N 0.44916 0.09547 -0.48249 0.259
C 1.53068 0.77147 -1.14085 -0.419
C 2.91230 0.09895 -0.95390 -0.943
C -0.11520 -0.85861 -1.45929 -0.606
C -1.14460 -0.33853 -2.47277 -0.924
H -2.01514 1.39997 3.40480 0.339
H 0.68833 0.00919 1.75155 0.213
H 0.51963 -1.13705 2.85734 0.312
H -1.36370 -0.70673 1.14874 -0.127
H -1.87619 -1.18159 2.78968 0.340
H -1.67827 1.70950 1.75154 0.258
H -3.21426 0.90788 2.11345 0.318
H 1.27330 1.06851 -2.20390 0.320
H 1.62308 1.72857 -0.60952 0.369
H 3.72506 0.68132 -1.29873 0.375
H 2.90645 -0.88559 -1.41733 0.319
H 3.01226 -0.01856 0.15226 0.298
H 0.72941 -1.31932 -2.22511 0.304
H -0.52161 -1.74744 -0.88660 0.454
H -1.87479 0.27297 -1.94803 0.330
H -0.55973 0.24315 -3.16374 0.335
H -1.56851 -1.26419 -2.95987 0.345
```

Which one sits at the top of the stability order? entry ii does.

Entry i
Molecular formula: C3H8O2
Method: DFT, wB97M-V/def2-TZVPD

## Properties
net charge = 0
SMILES string = C[C@@H](O)CO
Kohn-Sham gap = 10.74 eV
HOMO energy = -10.1 eV

The geometry in XYZ format:
```
13
Properties=species:S:1:pos:R:3:mulliken_charge:R:1
C 1.23366 -0.78451 -0.28775 -0.967
C 0.52946 0.37124 0.36394 0.039
O 0.70831 1.53816 -0.32196 -0.542
C -1.01607 0.21361 0.61810 -0.422
O -1.47827 0.01035 -0.68701 -0.541
H 0.93040 -1.68849 0.30522 0.282
H 0.86031 -0.94314 -1.32069 0.281
H 2.39719 -0.51726 -0.19675 0.262
H 1.00445 0.44103 1.33947 0.401
H 0.24836 1.33923 -1.14251 0.394
H -1.27495 -0.81082 1.07162 0.243
~~~

4